Messages of the true existence from the spirits

Yellow Feather is my best friend and spirit guide and yes, he is dead. Is it a little weird that my best friend is a spirit and not a living human? Maybe so, but that is the reality of my life! He is very dear to me and I have spent more time talking to him than any other spirit. He may know me better than anyone and has helped me with so many things in my life.

You may or may not know that Yellow Feather is the spirit of Chief Massasoit, leader of the Wampanoag tribe in Rhode Island in the early 17th century, who aided the starving Mayflower Pilgrims upon their arrival. He and his people also endured much devastation as a result of the arrival of Europeans, including disease, war, and forced conversion to Christianity. I will share more details about Yellow Feather’s lifetime on Earth over time and will honor his life by providing the link to the following biography by ThoughtCo: Biography of Chief Massasoit, Native American Hero

It would be impossible for me to capture everything Yellow Feather has taught me over the years in a single post, so I will start with a few key items. Continuing with his lifetime in Colonial America, Yellow Feather talks frequently about his and his peoples’ belief in the Great Wakan Tanka, or a Mother Nature Creator spirit. Despite being pushed to convert to Christianity by the Colonists during his lifetime, Yellow Feather says he never gave up his belief in the Great Wakan Tanka, and he often observes how even today, those in power still look to the teachings of his people for guidance. He says to listen to the wind and all the elements and harness Mother Nature, just as he did. 

Yellow Feather has also said several times that no human force on Earth, no matter how powerful, can ever outmatch the power of Mother Nature. I think about that a lot and I take such comfort in it! No matter how crazy the world gets, the Creator or whatever you believe in always prevails. Just think about the power of an earthquake or a hurricane. Winston Churchill mentioned this as well a few years back when he said that Chernobyl now has more species in it than the Amazon, because Mother Nature always wins. How amazing is that?

Another theme that Yellow Feather talks about a lot is grief. We all go through it and we all suffer from it, and of course so did he. Not only did Yellow Feather lose many of his people to the disease introduced by the Europeans, but his wife was also brutally executed by a British Redcoat. You might think that the spirits are all love and light and they are, but it doesn’t mean they don’t have feelings, nor that they don’t remember the pain of the Earth plane. By sharing these stories, Yellow Feather has helped me with healing my own pain. And you know what? Yellow Feather said he now sits by the Council Fire in spirit with the very Redcoat who killed his wife and they are now friends. Amazing, isn’t it?

One way that you can honor the Great Wakan Tanka or Mother Nature is by making an offering every day or even just whenever you feel like it. This is something I learned from one of my mentors as well; or I should say, I already was in the practice of making offerings but didn’t really think of them as giving back to a higher power. I feed the feral cats in my area when I can and put out fresh water for the wildlife. I also throw all my old fruit and vegetables into the woods behind my house for the wildlife when I have it. I don’t share these actions as any sort of morality check or to make you feel guilty, no. It’s just to say these are little ways you could give back to the Great Wakan Tanka if you want. And if you can’t, that’s ok!

Next to the entry, the page also holds calculated crystals >
# 1
Computed XRD peak list
Compound: OsC3I2O3
Radiation: Cu Kα (weighted mean of Kα1 and Kα2)
Structure: a cell relaxed with GGA-PBE

Crystal structure
Cell lengths 11.5072, 8.5302, 10.4084 Å; angles 90.00, 106.48, 90.00 degrees
Space group C2/m (No. 12)
Inequivalent atoms, fractional coordinates:
Os 0.0631 0.0000 0.2088 [4 per cell]
C 0.0914 0.1615 0.3394 [8 per cell]
C 0.2257 0.0000 0.1975 [4 per cell]
I 0.0000 0.2206 0.0000 [4 per cell]
I 0.1744 0.0000 0.7764 [4 per cell]
O 0.1078 0.2611 0.4180 [8 per cell]
O 0.1740 0.5000 0.8038 [4 per cell]

Principal peaks in the range 10° ≤ 2θ ≤ 90°, by intensity:
2θ 13.12, rel. 100, (1 1 0)
2θ 27.51, rel. 52, (0 2 2)
2θ 16.03, rel. 32, (2 0 -1)
2θ 31.09, rel. 23, (4 0 -1)
2θ 34.18, rel. 18, (0 2 3)
2θ 42.10, rel. 17, (4 2 1)
2θ 20.21, rel. 17, (1 1 -2)
2θ 23.95, rel. 14, (1 1 2)
2θ 25.55, rel. 14, (3 1 -1)
2θ 36.14, rel. 12, (1 3 -2)
2θ 41.88, rel. 12, (4 2 -3)
2θ 17.77, rel. 11, (0 0 2)

# 2
Computed XRD peak list
Compound: Ca2SiSe4
Radiation: Cu Kα (weighted mean of Kα1 and Kα2)
Structure: a cell relaxed with GGA-PBE

Crystal structure
Cell lengths 14.3601, 8.6067, 6.5779 Å; angles 90.00, 90.00, 90.00 degrees
Space group Pnma (No. 62)
Inequivalent atoms, fractional coordinates:
Ca 0.0000 0.0000 0.0000 [4 per cell]
Ca 0.2273 0.2500 0.4816 [4 per cell]
Si 0.0931 0.7500 0.4018 [4 per cell]
Se 0.0565 0.2500 0.7275 [4 per cell]
Se 0.0939 0.7500 0.7487 [4 per cell]
Se 0.1689 0.5399 0.2594 [8 per cell]

Principal peaks in the range 10° ≤ 2θ ≤ 90°, by intensity:
2θ 27.71, rel. 100, (2 2 1)
2θ 28.32, rel. 65, (4 0 1)
2θ 36.59, rel. 52, (2 2 2)
2θ 43.26, rel. 35, (6 2 0)
2θ 48.27, rel. 31, (2 2 3)
2θ 27.11, rel. 25, (0 0 2)
2θ 41.99, rel. 20, (0 4 0)
2θ 16.08, rel. 19, (2 1 0)
2θ 48.66, rel. 16, (4 0 3)
2θ 37.07, rel. 15, (4 0 2)
2θ 25.50, rel. 14, (1 2 1)
2θ 51.42, rel. 14, (4 4 1)

# 3
Computed XRD peak list
Compound: CsHoCd17
Radiation: Cu Kα (weighted mean of Kα1 and Kα2)
Structure: a cell relaxed with GGA-PBE

Crystal structure
Cell lengths 10.3136, 10.3136, 15.2391 Å; angles 90.00, 90.00, 120.00 degrees
Space group R3m (No. 160, hexagonal axes)
Inequivalent atoms, fractional coordinates:
Cs 0.0000 0.0000 0.0000 [3 per cell]
Ho 0.0000 0.0000 0.6650 [3 per cell]
Cd 0.0000 0.0000 0.2488 [3 per cell]
Cd 0.0000 0.0000 0.4466 [3 per cell]
Cd 0.0042 0.2965 0.3370 [18 per cell]
Cd 0.0193 0.5096 0.1956 [9 per cell]
Cd 0.0237 0.5119 0.8327 [9 per cell]
Cd 0.0501 0.5250 0.4809 [9 per cell]

Principal peaks in the range 10° ≤ 2θ ≤ 90°, by intensity:
2θ 34.93, rel. 100, (0 3 3)
2θ 34.79, rel. 45, (2 2 0)
2θ 39.18, rel. 41, (2 2 3)
2θ 30.01, rel. 34, (3 0 0)
2θ 35.66, rel. 34, (2 0 5)
2θ 35.34, rel. 28, (0 0 6)
2θ 30.85, rel. 26, (0 2 4)
2θ 63.17, rel. 17, (0 3 9)
2θ 62.91, rel. 14, (4 2 5)
2θ 62.38, rel. 13, (6 0 0)
2θ 39.55, rel. 10, (1 1 6)
2θ 28.93, rel. 10, (1 2 2)

# 4
Computed XRD peak list
Compound: CePrPS
Radiation: Cu Kα (weighted mean of Kα1 and Kα2)
Structure: a cell relaxed with GGA-PBE

Crystal structure
End of the calculated crystals >

Yellow Feather also talks about how to come into your true power, and now I will share what he has taught me with you. One of the fallacies of speaking with the spirits or however you connect with them, is that you may start to get information and even prophecies. Now, by no means am I discounting what the spirits share when it is coming from a high enough vibration, nor am I discounting what you may sense to be your own truth. But I have the learned the hard way, and I cannot emphasize this enough, that there are any number of reasons why information coming from the spirits could be subject to change. In fact, this is such a complex topic, that I will need to save it for another post. 

The lesson from Yellow Feather is that you might think the spirits have all the answers, but no. True power comes from within; they can only tell you where to find it. One tip that Yellow Feather has given me, is to focus on your inner child. Not your intuition, but the things that give you joy and are unique to you. And of course, you can do this by making a list and/or journaling. This exercise really helped me tune in to my own power, so give it a try!

You could also just try speaking to Yellow Feather and see what you get back. He is an amazing spirit with a wonderful heart and an endless sense of humor and he can do some wild things in a seance cabinet! He told me once years ago, “You know what I appreciate about you, Sarah, is no matter what happens in your life, you always find a reason to smile, you always find hope.” And years later, in typical cheeky fashion, when I said that I remembered him saying that I always had hope, Yellow Feather just laughed and said, “Good, because you’re going to need it!”